Most using ipad2 as phone related news are at:

Facebook Messenger Update Brings Free Voice Calls to iOS/Android in Canada 4 Jan 2013 | 02:54 am
The world’s largest social network with over one billion users, Facebook, has made a significant improvement to its mobile Messenger apps for iOS and Google Android, bringing voice clips and free voic...
Starbucks Gets Greener with New Reusable Plastic Cups 3 Jan 2013 | 06:31 am
- - -
A relaxed TiMnP crystal, computed with GGA-PBE.

Lattice parameters (Å, degrees): 6.1992 6.1992 3.3800 90.00 90.00 120.00
Positions (direct):
Ti 0.0000 0.5893 0.0000
Ti 0.4107 0.4107 0.0000
Ti 0.5893 0.0000 0.0000
Mn 0.0000 0.2472 0.5000
Mn 0.2472 0.0000 0.5000
Mn 0.7528 0.7528 0.5000
P 0.0000 0.0000 0.0000
P 0.3333 0.6667 0.5000
P 0.6667 0.3333 0.5000

## Properties
Symmetry = P-62m (189)

---

A relaxed BaY2CuO5 crystal, computed with GGA-PBE.

Lattice parameters (Å, degrees): 12.2820 5.7169 7.2459 90.00 90.00 90.00
Positions (direct):
Ba 0.0953 0.2500 0.0698
Ba 0.4047 0.7500 0.5698
Ba 0.5953 0.2500 0.4302
Ba 0.9047 0.7500 0.9302
Y 0.0741 0.7500 0.3966
Y 0.2126 0.2500 0.6144
Y 0.2874 0.7500 0.1144
Y 0.4259 0.2500 0.8966
Y 0.5741 0.7500 0.1034
Y 0.7126 0.2500 0.8856
Y 0.7874 0.7500 0.3856
Y 0.9259 0.2500 0.6034
Cu 0.1604 0.7500 0.7837
Cu 0.3396 0.2500 0.2837
Cu 0.6604 0.7500 0.7163
Cu 0.8396 0.2500 0.2163
O 0.0677 0.5066 0.6633
O 0.0677 0.9934 0.6633
O 0.1000 0.7500 0.0838
O 0.2280 0.0042 0.3559
O 0.2280 0.4958 0.3559
O 0.2720 0.5042 0.8559
O 0.2720 0.9958 0.8559
O 0.4000 0.2500 0.5838
O 0.4323 0.0066 0.1633
O 0.4323 0.4934 0.1633
O 0.5677 0.5066 0.8367
O 0.5677 0.9934 0.8367
O 0.6000 0.7500 0.4162
O 0.7280 0.0042 0.1441
O 0.7280 0.4958 0.1441
O 0.7720 0.5042 0.6441
O 0.7720 0.9958 0.6441
O 0.9000 0.2500 0.9162
O 0.9323 0.0066 0.3367
O 0.9323 0.4934 0.3367

## Properties
Symmetry = Pnma (62)
Total magnetic moment = 0.99 μB per formula unit

---

A relaxed Ho2Cu2O5 crystal, computed with GGA-PBE.

Lattice parameters (Å, degrees): 10.8811 3.5096 12.5173 90.00 90.00 90.00
Positions (direct):
Ho 0.0427 0.2225 0.0000
Ho 0.2075 0.2212 0.3276
Ho 0.2925 0.7212 0.8276
Ho 0.4573 0.7225 0.5000
Ho 0.5427 0.2775 0.0000
Ho 0.7075 0.2788 0.3276
Ho 0.7925 0.7788 0.8276
Ho 0.9573 0.7775 0.5000
Cu 0.0115 0.3397 0.7171
Cu 0.2381 0.1563 0.6111
Cu 0.2619 0.6563 0.1111
Cu 0.4885 0.8397 0.2171
Cu 0.5115 0.1603 0.7171
Cu 0.7381 0.3437 0.6111
Cu 0.7619 0.8437 0.1111
Cu 0.9885 0.6603 0.2171
O 0.0715 0.2754 0.5659
O 0.0769 0.7274 0.3564
O 0.1247 0.3447 0.1639
O 0.1733 0.7250 0.9718
O 0.1779 0.2190 0.7627
O 0.3221 0.7190 0.2627
O 0.3267 0.2250 0.4718
O 0.3753 0.8447 0.6639
O 0.4231 0.2274 0.8564
O 0.4285 0.7754 0.0659
O 0.5715 0.2246 0.5659
O 0.5769 0.7726 0.3564
O 0.6247 0.1553 0.1639
O 0.6733 0.7750 0.9718
O 0.6779 0.2810 0.7627
O 0.8221 0.7810 0.2627
O 0.8267 0.2750 0.4718
O 0.8753 0.6553 0.6639
O 0.9231 0.2726 0.8564
O 0.9285 0.7246 0.0659

## Properties
Maximum piezoelectric response = 0.16 C/m2
Symmetry = Pna2_1 (33)
Total magnetic moment = 2.00 μB per formula unit

---

A relaxed U2Ni3As4 crystal, computed with GGA-PBE.

Lattice parameters (Å, degrees): 4.0892 4.0892 9.2016 90.00 90.00 90.00
Positions (direct):
U 0.0000 0.0000 0.0000
U 0.5000 0.5000 0.4989
Ni 0.0000 0.5000 0.2487
Ni 0.5000 0.0000 0.2487
Ni 0.5000 0.5000 0.8645
As 0.0000 0.0000 0.3952
As 0.0000 0.5000 0.7405
As 0.5000 0.0000 0.7405
As 0.5000 0.5000 0.1143

## Properties
Symmetry = P4mm (99)
- - -
Starbucks Coffee Company is getting a bit greener. The company announced it would start selling a $1 reusable plastic white cup bearing its logo at all U.S. and Canadian locations starting tomorrow. ...
More using ipad2 as phone related news:
Mobile Application Development 17 Aug 2009 | 12:00 pm
<<<
Here is crystalline K3Na5V2Mo6O20 at its relaxed geometry from the Materials Project database. Energies are from GGA+U.

Values from the calculation:
**V**: 13.97 Å³ per atom
**Formation energy**: -1.979 eV/atom
**SG**: P1, No. 1

Lattice parameters (Å, degrees): 11.4044 11.7003 17.0891 109.85 109.04 90.07
Atoms (fractional coordinates):
K1 0.0000 0.0000 0.0000
K2 0.9999 0.4963 0.9998
K3 0.1042 0.5823 0.7118
K4 0.1163 0.0903 0.2332
K5 0.2496 0.2306 0.0000
K6 0.2520 0.7291 0.0016
K7 0.3666 0.8692 0.2334
K8 0.5012 0.9989 0.9994
K9 0.5017 0.4986 0.0003
K10 0.6159 0.5913 0.2336
K11 0.7492 0.7295 0.0002
K12 0.7505 0.2293 0.9997
Na1 0.1039 0.0750 0.7032
Na2 0.1051 0.5846 0.2217
Na3 0.2444 0.2236 0.5001
Na4 0.2451 0.7230 0.4994
Na5 0.3542 0.8564 0.7030
Na6 0.3547 0.3557 0.7036
Na7 0.3549 0.3640 0.2208
Na8 0.4945 0.5036 0.4987
Na9 0.4954 0.0052 0.5005
Na10 0.6045 0.5750 0.7038
Na11 0.6046 0.0752 0.7037
Na12 0.6049 0.0852 0.2213
Na13 0.7446 0.2226 0.4991
Na14 0.7447 0.7236 0.5003
Na15 0.8543 0.8562 0.7031
Na16 0.8541 0.8645 0.2210
Na17 0.8552 0.3569 0.7037
Na18 0.8557 0.3642 0.2211
Na19 0.9940 0.0035 0.4981
Na20 0.9943 0.5038 0.4969
V1 0.1983 0.8782 0.3657
V2 0.2028 0.3853 0.3638
V3 0.4500 0.7094 0.3675
V4 0.4542 0.2133 0.3626
V5 0.7018 0.3780 0.3624
V6 0.7039 0.8852 0.3642
V7 0.9493 0.2113 0.3638
V8 0.9514 0.7073 0.3607
Mo1 0.0405 0.7915 0.6014
Mo2 0.0406 0.2895 0.6029
Mo3 0.0532 0.2988 0.1186
Mo4 0.0528 0.7964 0.1183
Mo5 0.2074 0.3788 0.8519
Mo6 0.2069 0.8899 0.8510
Mo7 0.2909 0.0405 0.6040
Mo8 0.2924 0.5396 0.6024
Mo9 0.3028 0.0481 0.1162
Mo10 0.3037 0.5475 0.1184
Mo11 0.4565 0.1936 0.8497
Mo12 0.4578 0.6947 0.8490
Mo13 0.5414 0.2916 0.6037
Mo14 0.5417 0.7916 0.6051
Mo15 0.5529 0.2966 0.1179
Mo16 0.5537 0.7982 0.1170
Mo17 0.7045 0.8865 0.8505
Mo18 0.7059 0.3834 0.8497
Mo19 0.7915 0.0407 0.6040
Mo20 0.7906 0.5399 0.6027
Mo21 0.8040 0.0486 0.1194
Mo22 0.8039 0.5473 0.1179
Mo23 0.9512 0.6987 0.8544
Mo24 0.9548 0.1936 0.8494
O1 0.0916 0.3878 0.7440
O2 0.0962 0.9013 0.7425
O3 0.1143 0.2578 0.3735
O4 0.1141 0.7462 0.8550
O5 0.1162 0.2207 0.8388
O6 0.1159 0.7376 0.3636
O7 0.1205 0.3956 0.2589
O8 0.1231 0.8853 0.2595
O9 0.1565 0.9084 0.5851
O10 0.1583 0.4041 0.5840
O11 0.1731 0.9153 0.1053
O12 0.1754 0.4195 0.1110
O13 0.1755 0.1745 0.6203
O14 0.1761 0.6759 0.6143
O15 0.1823 0.6759 0.1298
O16 0.1848 0.1810 0.1283
O17 0.2166 0.0061 0.4645
O18 0.2265 0.5105 0.4644
O19 0.2281 0.4892 0.9695
O20 0.2307 0.9960 0.9713
O21 0.3450 0.0682 0.7448
O22 0.3521 0.5672 0.7430
O23 0.3634 0.8463 0.3759
O24 0.3638 0.8396 0.8383
O25 0.3654 0.3494 0.3624
O26 0.3679 0.3409 0.8398
O27 0.3727 0.0997 0.2579
O28 0.3749 0.5952 0.2603
O29 0.4074 0.9066 0.5867
O30 0.4080 0.4069 0.5851
O31 0.4227 0.4164 0.1081
O32 0.4257 0.1732 0.6204
O33 0.4261 0.9208 0.1070
O34 0.4280 0.6739 0.6233
O35 0.4337 0.6763 0.1258
O36 0.4346 0.1800 0.1313
O37 0.4719 0.1880 0.4633
O38 0.4717 0.6820 0.4670
O39 0.4780 0.2070 0.9694
O40 0.4792 0.7084 0.9688
O41 0.5936 0.9055 0.7449
O42 0.5952 0.4033 0.7439
>>>
So much for the calculated crystals.
If yes, you are the growing number of people who use the mobile phone for more than making a call. The mobile has become an essential business tool/accessory just like a laptop or a briefcase. The mob...
Benefits Of Using A Cell Phone Spy 11 Jan 2012 | 04:34 am
Technical advances have made it possible to come up with programs that help to track human activities in a discreet and professional manner. A suitable example is the cell phone spy software that is.....
Sea wallpapers 4 Aug 2011 | 07:05 am
New cool nature wallpapers for using on your phone.This wallpapers are specially for Sea theme by RozzerX.Credits to him. Note: There is a file embedded within this post, please visit this post to do...
Industry of Mobile Development 29 Feb 2012 | 09:34 pm
Mobile developers in today’s world have this special place in the technical industry. Without them, it is like the lack of fun or rather the lack of the extra edge which makes the use of mobile phones...
Use PS3 Controller with Android Phones with Sixaxis Controller 12 Aug 2011 | 11:02 pm
PlayStation 3 controllers (Sixaxis and DualShock 3) can now be used on Android phone to play games or just navigate through the phone! Sixaxis Controller is a paid Android app for rooted phones that ...
Why You Should Use Green Cell Phone Products 16 Nov 2011 | 01:35 pm
The green revolution is in full-swing after several decades of build-up. You can’t escape it. Everywhere you go, high quality environmentally friendly products are available in direct competition with...
Skype for iPad, iPhone, Android 18 Aug 2011 | 03:37 am
Did you know that you can use skype on your iPhone or iPad? You can see bellow how you can use it. If you’re not a fan of Apple products you can use a cell phone or tablet with android: Rememebr that ...
Project Oscar – Earn a FlipCam & £100! 28 Sep 2010 | 04:28 am
We are looking for creative and outgoing people to make their own video diaries about how they use their mobile phones in their day to day life. As an incentive in return for your video diary we are o...
(Attached: records of crystals)
┌──
Compound: Na6Sc4In4Si3S9O48
Source: the Materials Project
Functional: PBE
Structure: optimized geometry

Computed properties:
* total DFT energy (no corrections): -1443.3 eV for the cell shown
* magnetization: 0.0 μB per cell
* E (MP2020): -6.947 eV per atom
* E_form: -178.79 eV per formula unit

The structure in POSCAR format:
```
Na6Sc4In4Si3S9O48
1.0
-8.042 -15.100 -5.330
8.776 0.026 1.615
-4.074 -5.609 22.192
Na Sc In Si S O
18 12 12 9 27 144
Cartesian
4.625 -1.477 6.619
-3.899 -11.762 14.390
-2.343 -7.559 19.889
-6.371 -15.111 17.228
-2.816 -4.811 8.428
-6.891 -12.318 5.765
-1.360 -17.817 7.380
2.752 -10.252 10.138
-12.036 -20.623 16.806
-8.025 -13.081 19.498
-3.113 -9.629 17.142
-7.182 -17.318 14.457
-1.057 -7.030 6.161
-5.153 -14.421 3.537
3.877 -3.545 3.945
-0.101 -10.962 1.371
1.654 -6.255 15.036
-2.294 -13.736 12.239
7.280 -2.006 9.396
3.239 -9.553 6.684
-3.340 -4.829 18.812
-7.402 -12.370 16.181
-2.504 -8.803 13.935
-4.613 -13.467 0.287
-3.808 -10.644 20.446
-7.819 -18.182 17.808
-1.726 -7.930 9.439
-5.658 -15.384 6.744
3.288 -4.231 7.232
-2.889 -14.550 15.592
-2.609 -3.704 14.441
-6.544 -11.227 11.708
-0.642 -0.901 3.320
4.090 -8.413 2.310
-6.536 -16.376 11.343
-0.549 -6.036 2.916
4.412 -2.530 0.542
0.386 -10.093 -2.116
2.430 -5.379 11.671
-1.634 -12.741 9.112
-0.711 -11.716 4.584
1.088 -6.951 18.257
-2.207 -3.664 4.774
2.513 -11.158 3.710
-1.653 -6.490 16.304
-5.697 -14.037 13.702
-3.355 -10.533 11.001
-0.651 -5.408 20.859
-4.656 -12.962 18.149
3.992 -2.597 10.199
-0.006 -10.107 7.559
2.359 -6.698 4.807
-1.667 -14.252 2.130
-6.481 -16.490 0.682
-2.474 -8.950 3.341
3.162 -4.188 17.784
-0.838 -11.737 15.126
2.858 -9.487 16.403
-1.156 -17.051 13.705
-7.337 -18.046 8.273
-3.528 -6.062 11.975
-7.551 -13.674 9.297
0.454 -8.252 12.175
-3.534 -15.870 9.507
1.302 -7.683 0.316
-2.715 -15.248 -2.327
-2.708 -5.496 0.115
-6.717 -13.050 -2.529
1.109 -3.273 1.363
-2.921 -10.821 -1.298
-0.408 -9.906 19.779
-4.413 -17.430 17.102
3.356 -7.635 21.011
-0.670 -15.184 18.354
4.199 -7.058 9.117
0.164 -14.626 6.500
0.239 -4.832 8.957
-3.783 -12.403 6.272
-1.860 -3.268 6.324
-5.898 -10.877 3.650
2.489 -7.796 5.765
-1.581 -15.369 3.087
-3.521 -9.045 4.347
-7.521 -16.550 1.702
-2.512 -6.154 17.688
-6.562 -13.703 15.064
-0.237 -11.847 16.462
-4.262 -19.382 13.782
-6.352 -10.637 15.662
-10.382 -18.180 12.960
2.480 -9.727 14.997
-1.509 -17.272 12.284
-1.670 -5.249 15.253
-5.669 -12.758 12.710
4.143 -3.990 16.695
0.166 -11.591 14.056
3.195 -6.901 3.588
-0.812 -14.477 0.939
1.025 -1.258 4.636
-2.997 -8.758 1.958
6.856 -2.357 5.400
2.930 -9.987 2.662
-3.050 -10.164 12.580
-7.027 -17.746 9.693
-3.372 -7.124 12.986
-7.439 -14.737 10.329
-0.572 -8.345 13.237
-4.553 -15.980 10.580
0.502 -7.386 1.527
-3.481 -14.941 -1.106
-2.140 -5.599 1.477
-6.111 -13.180 -1.191
0.652 -4.339 2.282
-3.417 -11.900 -0.419
0.817 -3.597 -0.045
-3.200 -11.138 -2.717
1.156 -6.616 -0.692
-2.873 -14.176 -3.337
-1.646 -5.368 -0.902
-5.672 -12.918 -3.565
-2.765 -6.340 10.744
-6.744 -14.002 8.095
└──
(Back to the text)
Scan2Buy - Fast purchasing using your mobile phone 10 Apr 2012 | 10:18 am
Scan2Buy - Fast purchasing using your mobile phone
TV Shopping Barcode Advertising Banners 21 Jun 2011 | 11:26 am
Scan2Buy allows people to instinctively buy there-and-then using their mobile phone within seconds without having to overcome any fear of telephoning - perfect for TV advertising campaigns